Listing:
/*
A plane-wave DFT calculation with PBE was carried out for an optimized crystal structure of Ba3MgIn.

Summary:
* calculated total energy: -9.43 eV per cell
* ΔE_f: 0.134 eV per atom
* offset from the most stable computed form: 0.346 eV per atom
* volume: 302.8 Å³/cell

Cell: 6.7152 6.7152 6.7152 Å, 90.00 90.00 90.00°
Closest atoms and distances in Å follow each position.
Positions (direct):
Ba 0.0000 0.0000 0.5000  2 In 3.36
Ba 0.0000 0.5000 0.0000  2 In 3.36
Ba 0.5000 0.0000 0.0000  2 In 3.36
Mg 0.5000 0.5000 0.5000  12 Ba 4.75
In 0.0000 0.0000 0.0000  6 Ba 3.36

A plane-wave DFT calculation with PBE was carried out for an optimized crystal structure of LaCu2Br.

Summary:
* calculated total energy: -16.19 eV per cell
* offset from the most stable computed form: 0.148 eV per atom
* uncorrected formation energy: -0.3484 eV/atom
* volume: 92.1 Å³/cell

Cell: 3.5197 3.5197 7.4374 Å, 90.00 90.00 90.00°
Closest atoms and distances in Å follow each position.
Positions (direct):
La 0.0000 0.0000 0.0000  1 Cu 2.74
Cu 0.0000 0.0000 0.6314  4 Cu 2.56, 1 La 2.74
Cu 0.5000 0.5000 0.7146  4 Cu 2.56
Br 0.5000 0.5000 0.2551  4 La 3.13, 1 Cu 3.42

A plane-wave DFT calculation with PBE was carried out for an optimized crystal structure of HoAs2Pd7.

Summary:
* calculated total energy: -53.89 eV per cell
* ΔE_f: -0.366 eV per atom
* offset from the most stable computed form: 0.232 eV per atom
* volume: 201.2 Å³/cell

Cell: 7.1079 7.1079 4.4729 Å, 90.00 90.00 117.09°
Closest atoms and distances in Å follow each position.
Positions (direct):
Ho 0.0000 0.0000 0.0000  10 Pd 2.78-3.01
As 0.3046 0.6954 0.5000  7 Pd 2.37-2.60
As 0.6954 0.3046 0.5000  7 Pd 2.37-2.60
Pd 0.0627 0.3072 0.5000  2 As 2.50-2.60, 2 Pd 2.74-2.77
Pd 0.2296 0.7704 0.0000  2 As 2.41
Pd 0.3072 0.0627 0.5000  2 As 2.50-2.60, 2 Pd 2.74-2.77
Pd 0.5000 0.5000 0.5000  2 As 2.37
Pd 0.6928 0.9373 0.5000  2 As 2.50-2.60, 2 Pd 2.74-2.77
Pd 0.7704 0.2296 0.0000  2 As 2.41
Pd 0.9373 0.6928 0.5000  2 As 2.50-2.60, 2 Pd 2.74-2.77

A plane-wave DFT calculation with PBE was carried out for an optimized crystal structure of BaVCd2.

Summary:
* calculated total energy: -45.94 eV per cell
* ΔE_f: 0.347 eV per atom
* offset from the most stable computed form: 0.000 eV per atom
* volume: 452.5 Å³/cell

Cell: 7.6774 7.6774 7.6774 Å, 90.00 90.00 90.00°
Closest atoms and distances in Å follow each position.
Positions (direct):
Ba 0.0000 0.0000 0.0000  8 Cd 3.32
Ba 0.0000 0.5000 0.5000  8 Cd 3.32
Ba 0.5000 0.0000 0.5000  8 Cd 3.32
Ba 0.5000 0.5000 0.0000  8 Cd 3.32
V 0.0000 0.0000 0.5000  8 Cd 3.32
V 0.0000 0.5000 0.0000  8 Cd 3.32
V 0.5000 0.0000 0.0000  8 Cd 3.32
V 0.5000 0.5000 0.5000  8 Cd 3.32
Cd 0.2500 0.2500 0.2500  4 Ba 3.32, 4 V 3.32
Cd 0.2500 0.2500 0.7500  4 Ba 3.32, 4 V 3.32
Cd 0.2500 0.7500 0.2500  4 Ba 3.32, 4 V 3.32
Cd 0.2500 0.7500 0.7500  4 Ba 3.32, 4 V 3.32
Cd 0.7500 0.2500 0.2500  4 Ba 3.32, 4 V 3.32
Cd 0.7500 0.2500 0.7500  4 Ba 3.32, 4 V 3.32
Cd 0.7500 0.7500 0.2500  4 Ba 3.32, 4 V 3.32
Cd 0.7500 0.7500 0.7500  4 Ba 3.32, 4 V 3.32

A plane-wave DFT calculation with PBE was carried out for an optimized crystal structure of FeAs2H2.

Summary:
* calculated total energy: -46.47 eV per cell
* offset from the most stable computed form: 0.000 eV per atom
* volume: 102.4 Å³/cell

Cell: 4.2077 4.2077 5.7856 Å, 90.00 90.00 90.00°
Closest atoms and distances in Å follow each position.
Positions (direct):
Fe 0.0000 0.0000 0.0000  2 H 2.51, 8 As 2.55
Fe 0.5000 0.5000 0.5000  2 H 2.51, 8 As 2.55
As 0.0000 0.5000 0.2500  4 H 2.36, 4 Fe 2.55
As 0.0000 0.5000 0.7500  4 H 2.36, 4 Fe 2.55
As 0.5000 0.0000 0.2500  4 H 2.36, 4 Fe 2.55
As 0.5000 0.0000 0.7500  4 H 2.36, 4 Fe 2.55
H 0.0000 0.0000 0.4330  1 H 0.78
H 0.0000 0.0000 0.5670  1 H 0.78
H 0.5000 0.5000 0.0670  1 H 0.78
H 0.5000 0.5000 0.9330  1 H 0.78

A plane-wave DFT calculation with PBE was carried out for an optimized crystal structure of HoTlAu.

Summary:
* calculated total energy: -23.97 eV per cell
* ΔE_f: -0.588 eV per atom
*/
Request:
The reader should filter the listing above: keep the lines with the word "volume".
Done:
* volume: 302.8 Å³/cell
* volume: 92.1 Å³/cell
* volume: 201.2 Å³/cell
* volume: 452.5 Å³/cell
* volume: 102.4 Å³/cell